About Time

Finally, the monorail campaign is acting like, well, a campaign. After getting trashed by everyone from Nicole Brodeur in the Seattle Times to Joel Connelly in the Post-Intelligencer to a hit piece in the Seattle Weekly, monorail supporters had finally had enough. They realized they needed to operate more like the infamous Clinton '92 campaign War Room, i.e., they would have to aggressively challenge their critics.

Anti-monorailer Henry Aronson was successfully peddling propaganda (he seems to have edited the aforementioned Weekly story) for weeks. Finally, on October 8, the monorail campaign challenged Aronson, publicly calling bullshit on his anti-monorail campaign distortions.

• Here the text breaks off for data records:
<<<
Entry 1:
2 unconnected molecules or ions with the total composition C25H24N3O4 in a non-equilibrium geometry. Source: the OMol25 dataset; level of theory: ωB97M-V with the def2-TZVPD basis set.

Bonds (Å) are listed after each position.
Element x y z (Å)
1 C 0.828 1.746 -0.572  C2 1.382, C7 1.476, H13 1.097
2 C 0.132 2.917 -0.336  C1 1.382, C3 1.436, C5 1.436
3 C -0.001 3.983 -1.289  C2 1.436, N4 1.181
4 N -0.072 4.926 -1.996  C3 1.181
5 C -0.341 3.296 0.966  C2 1.436, N6 1.174
6 N -0.737 3.681 2.002  C5 1.174
7 C 1.637 1.183 0.527  C1 1.476, C8 1.417, C12 1.419
8 C 1.087 0.947 1.811  C7 1.417, C9 1.411, H14 1.094
9 C 1.946 0.787 2.920  C8 1.411, C10 1.401, H15 1.093
10 C 3.336 0.807 2.747  C9 1.401, C11 1.407, H16 1.088
11 C 3.875 0.937 1.455  C10 1.407, C12 1.385, H17 1.089
12 C 3.035 1.016 0.356  C7 1.419, C11 1.385, H18 1.091
13 H 1.096 1.449 -1.593  C1 1.097
14 H 0.004 0.860 1.928  C8 1.094
15 H 1.493 0.692 3.910  C9 1.093
16 H 3.996 0.732 3.609  C10 1.088
17 H 4.953 1.001 1.320  C11 1.089
18 H 3.437 1.004 -0.659  C12 1.091
19 C -2.544 -6.950 -3.757  N20 1.449, H39 1.096, H40 1.096, H41 1.101
20 N -1.796 -6.627 -2.559  C19 1.449, C21 1.442, C22 1.395
21 C -1.778 -7.697 -1.591  N20 1.442, H42 1.095, H43 1.100, H44 1.096
22 C -1.404 -5.335 -2.209  N20 1.395, C23 1.412, C38 1.416
23 C -2.190 -4.558 -1.330  C22 1.412, C24 1.391, H45 1.089
24 C -1.791 -3.267 -1.004  C23 1.391, C25 1.394, H46 1.097
25 C -0.561 -2.774 -1.439  C24 1.394, C26 1.537, C37 1.397
26 C -0.064 -1.405 -0.949  C25 1.537, C27 1.476, H47 1.102, H48 1.101
27 C -0.460 -0.398 -1.953  C26 1.476, C28 1.467, C35 1.467
28 C 0.334 -0.392 -3.187  C27 1.467, O29 1.218, O30 1.383
29 O 1.478 -0.798 -3.272  C28 1.218
30 O -0.292 -0.023 -4.364  C28 1.383, C31 1.442
31 C -1.434 0.846 -4.218  O30 1.442, C32 1.523, C33 1.533, O34 1.432
32 C -1.007 2.228 -3.740  C31 1.523, H49 1.102, H50 1.100, H51 1.101
33 C -2.156 0.904 -5.569  C31 1.533, H52 1.101, H53 1.092, H54 1.093
34 O -2.381 0.253 -3.322  C31 1.432, C35 1.383
35 C -1.905 -0.197 -2.104  C27 1.467, O34 1.383, O36 1.222
36 O -2.754 -0.514 -1.284  C35 1.222
37 C 0.163 -3.483 -2.400  C25 1.397, C38 1.388, H55 1.097
38 C -0.252 -4.750 -2.789  C22 1.416, C37 1.388, H56 1.092
39 H -2.539 -6.117 -4.470  C19 1.096
40 H -2.083 -7.831 -4.217  C19 1.096
41 H -3.584 -7.216 -3.508  C19 1.101
42 H -1.133 -7.440 -0.744  C21 1.095
43 H -2.793 -7.904 -1.222  C21 1.100
44 H -1.379 -8.585 -2.092  C21 1.096
45 H -3.154 -4.934 -0.991  C23 1.089
46 H -2.482 -2.608 -0.465  C24 1.097
47 H -0.551 -1.160 0.009  C26 1.102
48 H 1.033 -1.411 -0.851  C26 1.101
49 H -0.560 2.140 -2.737  C32 1.102
50 H -0.279 2.666 -4.440  C32 1.100
51 H -1.877 2.902 -3.700  C32 1.101
52 H -2.456 -0.113 -5.866  C33 1.101
53 H -3.046 1.531 -5.477  C33 1.092
54 H -1.518 1.339 -6.343  C33 1.093
55 H 1.020 -3.012 -2.896  C37 1.097
56 H 0.293 -5.297 -3.561  C38 1.092

As for the total charge: -1.
>>>
• Here the text continues:

Firing off an e-mail titled "Oops! Monorail opponents caught lying" to over 10,000 politically minded folks, the pro-monorail campaign--Rise Above It All--identified 19 anti-monorail whoppers that have been making the rounds.

The monorail truth squad told me they had been reluctant to challenge Aronson tit for tat in the press à la Clinton's James Carville because, for voters, it just turns into a confusing "He said/She said" squabble, with the press handing the mic back to Aronson--where Aronson gets to restate his fibs.

Record 1
Computed, not measured: a single C5H6O2S2 molecule, with wB97M-V/def2-TZVPD.

## Properties
* Kohn-Sham gap (spin up / spin down): 0.2733 / 0.2708 Ha
* ΔE to the lowest compared entry with this formula, charge and spin: 1.638 eV
* highest occupied orbital energy (spin up / spin down): -8.45 / -8.80 eV

Structure (ORCA input):
```
! wB97M-V def2-TZVPD RIJCOSX def2/J DEFGRID3
* xyz 0 1
C -0.30753 -1.24125 -0.79394
C -1.13011 0.05443 -0.69883
C -0.64544 1.06830 0.32052
C 0.23727 -1.74126 0.43932
C 0.72838 0.66116 0.99402
O -0.20842 -1.86146 -1.86950
O 2.08744 1.44488 -1.04623
S 0.47598 -0.92778 1.89434
S 2.03183 0.27777 -0.24243
H -1.21927 0.59334 -1.75683
H -2.08799 -0.45263 -0.34791
H -0.39903 2.06174 -0.01241
H -1.34047 1.37991 1.20974
H 0.56299 -2.71545 0.38070
H 1.21437 1.39829 1.52944
*
```

Record 2
Computed, not measured: a molecular structure, C20H55ClN5O5Ti, with wB97M-V/def2-TZVPD.

## Properties
* <S²>: 3.752
* Kohn-Sham gap (spin up / spin down): 0.2381 / 0.3009 Ha
* ΔE to the lowest compared entry with this formula, charge and spin: 3.404 eV
* highest occupied orbital energy (spin up / spin down): -6.57 / -8.63 eV

Structure (ORCA input):
```
! wB97M-V def2-TZVPD RIJCOSX def2/J DEFGRID3
* xyz 0 4
Ti -15.38948 2.20352 -24.36198
Cl -15.12742 0.09227 -22.72593
C -17.06890 -1.36775 -25.61825
C -15.95892 -2.44452 -25.59273
C -14.58493 -1.98521 -26.29681
O -13.81602 -3.09838 -26.78286
C -12.72946 -2.56871 -27.57952
N -15.70060 -2.87933 -24.27765
H -16.92596 -0.52092 -24.94702
H -18.00067 -1.78803 -25.23974
H -17.20594 -1.00468 -26.63683
H -16.31784 -3.30164 -26.16247
H -14.07753 -1.36816 -25.55526
H -14.81315 -1.39494 -27.18428
H -13.07033 -2.16644 -28.53351
H -12.01926 -3.34654 -27.86006
H -12.09446 -1.83667 -27.08054
H -15.36130 -2.05652 -23.80021
H -14.83255 -3.36743 -24.44599
C -18.46109 4.50155 -23.39050
C -17.83872 3.56062 -22.40202
C -18.61817 3.30644 -21.06925
O -20.00305 3.09711 -21.23513
C -20.72560 3.32897 -20.04900
N -17.52428 2.42992 -23.21910
H -19.48471 4.29214 -23.70108
H -17.77490 4.73069 -24.20582
H -18.57534 5.45597 -22.87657
H -16.84920 3.97870 -22.21718
H -18.47084 4.22165 -20.49585
H -18.18586 2.47372 -20.51446
H -20.23052 2.84693 -19.20601
H -21.78557 3.07575 -20.07022
H -20.72254 4.39907 -19.84171
H -18.36823 2.09592 -23.66215
H -17.18327 1.65234 -22.67213
C -12.63023 -1.69783 -19.66935
C -11.76114 -1.94283 -20.90153
C -12.39188 -3.16658 -21.68006
O -11.57506 -3.49733 -22.77945
C -12.22634 -4.36538 -23.74262
N -11.84406 -0.68721 -21.63896
H -12.26375 -0.88729 -19.03941
H -12.68355 -2.55812 -19.00216
H -13.66947 -1.53103 -19.95267
H -10.71338 -2.18070 -20.71789
H -13.34891 -2.87720 -22.11418
H -12.51956 -4.02726 -21.02352
H -13.05453 -3.74664 -24.08812
H -12.55856 -5.34866 -23.40962
H -11.53415 -4.53266 -24.56784
H -11.78926 -0.95891 -22.61019
H -12.80064 -0.36409 -21.66444
C -14.38495 2.97169 -20.72609
C -14.53487 4.45484 -20.40848
C -13.85355 4.76600 -19.00464
O -14.43135 4.06028 -17.88272

Well, I gave Aronson's team the mic, and it seems to me, the monorail folks don't have much to worry about. The anti-monorail talk was off the wall. For example, trying to defend Lie #1(as the pro-monorail folks call it), an Aronson spokesperson argued that the ETC has a "blank check" to build the system because, despite the plan's cap on issuing debt, despite the fact that the only source for paying off the debt is the 1.4-percent car tax, and despite the fact that this money and bonding can only be spent on the 14-mile Green Line, the bonding and taxing authority are still squishy.

Huh? How can the ETC evade these unprecedented restrictions when it can only issue one grand total of debt, and the only allowable collateral to pay off that debt is a 1.4-percent motor vehicle excise tax (MVET). If the ETC is stupid enough to use up its annual MVET authority without paying off its debt (which is capped), then the Green Line will never get built. If the Green Line doesn't get built, the ETC can't collect any more taxes.

There are 18 other fibs--monorail opponents understate the monorail's new rider numbers by 38 percent, misstate the tax per household, and jimmy numbers to say the monorail doesn't have enough capacity to meet its ridership predictions. The monorail campaign's clear-headed (and overdue!) e-mail debunks all of these doozies. To get a heads up on the anti-monorail trash talk, along with the monorail troupe's righteous responses, go to RiseAboveitAll.Org.

Or, if you want to help dismantle the lie campaign, Rise Above It All is seeking volunteers. Contact Lars at (206) 621-7473.
